• Request:
The reader should retype the rows further down unchanged.

• Listing:
+++
Entry from the OMol25 dataset: one molecule with the formula C2H6FNO (ωB97M-V with the def2-TZVPD basis set).

Computed properties:
Largest force on an atom   0.055 Eh/bohr
Gap between HOMO and LUMO   11.13 eV
DFT total energy   -309.5863 hartree
Lowest unoccupied orbital energy   0.0378 Eh
SMILES   C[C@@H](F)ON
Energy above the lowest of the compared OMol25 structures with the same formula, charge and spin   49.9 kcal/mol
E_HOMO   -10.10 eV
Net charge   0

Each line ends with the Löwdin charge.
CARTESIAN COORDINATES (ANGSTROEM)
C (-1.59, -0.15, 0.22)  -0.003
C (-0.20, 0.34, -0.29)  -0.449
F (-0.30, 1.74, -0.14)  -0.035
O (0.79, -0.14, 0.46)  -0.121
N (2.04, -0.11, -0.18)  0.075
H (-1.38, -0.08, 1.26)  0.052
H (-2.54, 0.40, -0.08)  0.104
H (-1.76, -1.26, 0.09)  0.090
H (0.15, 0.24, -1.30)  0.132
H (2.13, -1.03, -0.59)  0.095
H (2.66, 0.03, 0.55)  0.060

Entry from the OMol25 dataset: a 2-piece molecular cluster, C2H6FNO overall (ωB97M-V with the def2-TZVPD basis set).

Computed properties:
Largest force on an atom   0.074 Eh/bohr
Gap between HOMO and LUMO   11.44 eV
DFT total energy   -309.6397 hartree
Lowest unoccupied orbital energy   0.0248 Eh
SMILES   [H]/N=C(\C)F.O
Energy above the lowest of the compared OMol25 structures with the same formula, charge and spin   16.4 kcal/mol
E_HOMO   -10.76 eV
Net charge   0

Each line ends with the Löwdin charge.
CARTESIAN COORDINATES (ANGSTROEM)
H (0.71, 0.18, -1.37)  0.031
N (0.07, 0.91, -1.16)  0.148
C (-0.18, 1.12, 0.07)  -0.513
C (0.25, 0.30, 1.28)  -0.015
F (-0.91, 2.16, 0.43)  0.084
H (0.64, 1.05, 2.14)  0.130
H (-0.76, -0.10, 1.55)  0.097
H (1.04, -0.38, 1.09)  0.053
O (-0.35, -2.10, -1.17)  -0.098
H (-0.86, -1.26, -1.02)  0.032
H (0.35, -1.88, -1.85)  0.051

Entry from the OMol25 dataset: C2H6FNO2S2 as an isolated structure (ωB97M-V with the def2-TZVPD basis set).

Computed properties:
Largest force on an atom   0.102 Eh/bohr
Gap between HOMO and LUMO   9.31 eV
DFT total energy   -1181.0962 hartree
Lowest unoccupied orbital energy   0.0074 Eh
Energy above the lowest of the compared OMol25 structures with the same formula, charge and spin   70.5 kcal/mol
E_HOMO   -9.11 eV
Net charge   0

Each line ends with the Löwdin charge.
CARTESIAN COORDINATES (ANGSTROEM)
C (-1.57, 1.19, 0.48)  -0.145
C (-0.69, -1.51, -0.42)  -0.091
N (0.39, 1.03, -1.48)  -0.364
O (3.57, 0.34, 1.10)  -0.351
O (1.02, 0.31, 0.88)  -0.557
F (2.56, -1.27, -0.36)  -0.361
S (-0.07, 0.30, -0.33)  0.576
S (2.56, 0.43, 0.15)  1.014
H (-1.52, 2.20, 0.03)  0.053
H (-1.53, 1.34, 1.60)  0.071
H (-2.41, 0.78, -0.08)  0.043
H (-1.41, -1.62, 0.27)  -0.001
H (0.19, -2.10, -0.35)  0.028
H (-1.08, -1.45, -1.48)  0.086

Repeat the second record exactly.
Entry from the OMol25 dataset: a 2-piece molecular cluster, C2H6FNO overall (ωB97M-V with the def2-TZVPD basis set).

Computed properties:
Largest force on an atom   0.074 Eh/bohr
Gap between HOMO and LUMO   11.44 eV
DFT total energy   -309.6397 hartree
Lowest unoccupied orbital energy   0.0248 Eh
SMILES   [H]/N=C(\C)F.O
Energy above the lowest of the compared OMol25 structures with the same formula, charge and spin   16.4 kcal/mol
E_HOMO   -10.76 eV
Net charge   0

Each line ends with the Löwdin charge.
CARTESIAN COORDINATES (ANGSTROEM)
H (0.71, 0.18, -1.37)  0.031
N (0.07, 0.91, -1.16)  0.148
C (-0.18, 1.12, 0.07)  -0.513
C (0.25, 0.30, 1.28)  -0.015
F (-0.91, 2.16, 0.43)  0.084
H (0.64, 1.05, 2.14)  0.130
H (-0.76, -0.10, 1.55)  0.097
H (1.04, -0.38, 1.09)  0.053
O (-0.35, -2.10, -1.17)  -0.098
H (-0.86, -1.26, -1.02)  0.032
H (0.35, -1.88, -1.85)  0.051

Repeat the third record exactly.
Entry from the OMol25 dataset: C2H6FNO2S2 as an isolated structure (ωB97M-V with the def2-TZVPD basis set).

Computed properties:
Largest force on an atom   0.102 Eh/bohr
Gap between HOMO and LUMO   9.31 eV
DFT total energy   -1181.0962 hartree
Lowest unoccupied orbital energy   0.0074 Eh
+++

• Result:
Entry from the OMol25 dataset: one molecule with the formula C2H6FNO (ωB97M-V with the def2-TZVPD basis set).

Computed properties:
Largest force on an atom   0.055 Eh/bohr
Gap between HOMO and LUMO   11.13 eV
DFT total energy   -309.5863 hartree
Lowest unoccupied orbital energy   0.0378 Eh
SMILES   C[C@@H](F)ON
Energy above the lowest of the compared OMol25 structures with the same formula, charge and spin   49.9 kcal/mol
E_HOMO   -10.10 eV
Net charge   0

Each line ends with the Löwdin charge.
CARTESIAN COORDINATES (ANGSTROEM)
C (-1.59, -0.15, 0.22)  -0.003
C (-0.20, 0.34, -0.29)  -0.449
F (-0.30, 1.74, -0.14)  -0.035
O (0.79, -0.14, 0.46)  -0.121
N (2.04, -0.11, -0.18)  0.075
H (-1.38, -0.08, 1.26)  0.052
H (-2.54, 0.40, -0.08)  0.104
H (-1.76, -1.26, 0.09)  0.090
H (0.15, 0.24, -1.30)  0.132
H (2.13, -1.03, -0.59)  0.095
H (2.66, 0.03, 0.55)  0.060

Entry from the OMol25 dataset: a 2-piece molecular cluster, C2H6FNO overall (ωB97M-V with the def2-TZVPD basis set).

Computed properties:
Largest force on an atom   0.074 Eh/bohr
Gap between HOMO and LUMO   11.44 eV
DFT total energy   -309.6397 hartree
Lowest unoccupied orbital energy   0.0248 Eh
SMILES   [H]/N=C(\C)F.O
Energy above the lowest of the compared OMol25 structures with the same formula, charge and spin   16.4 kcal/mol
E_HOMO   -10.76 eV
Net charge   0

Each line ends with the Löwdin charge.
CARTESIAN COORDINATES (ANGSTROEM)
H (0.71, 0.18, -1.37)  0.031
N (0.07, 0.91, -1.16)  0.148
C (-0.18, 1.12, 0.07)  -0.513
C (0.25, 0.30, 1.28)  -0.015
F (-0.91, 2.16, 0.43)  0.084
H (0.64, 1.05, 2.14)  0.130
H (-0.76, -0.10, 1.55)  0.097
H (1.04, -0.38, 1.09)  0.053
O (-0.35, -2.10, -1.17)  -0.098
H (-0.86, -1.26, -1.02)  0.032
H (0.35, -1.88, -1.85)  0.051

Entry from the OMol25 dataset: C2H6FNO2S2 as an isolated structure (ωB97M-V with the def2-TZVPD basis set).

Computed properties:
Largest force on an atom   0.102 Eh/bohr
Gap between HOMO and LUMO   9.31 eV
DFT total energy   -1181.0962 hartree
Lowest unoccupied orbital energy   0.0074 Eh
Energy above the lowest of the compared OMol25 structures with the same formula, charge and spin   70.5 kcal/mol
E_HOMO   -9.11 eV
Net charge   0

Each line ends with the Löwdin charge.
CARTESIAN COORDINATES (ANGSTROEM)
C (-1.57, 1.19, 0.48)  -0.145
C (-0.69, -1.51, -0.42)  -0.091
N (0.39, 1.03, -1.48)  -0.364
O (3.57, 0.34, 1.10)  -0.351
O (1.02, 0.31, 0.88)  -0.557
F (2.56, -1.27, -0.36)  -0.361
S (-0.07, 0.30, -0.33)  0.576
S (2.56, 0.43, 0.15)  1.014
H (-1.52, 2.20, 0.03)  0.053
H (-1.53, 1.34, 1.60)  0.071
H (-2.41, 0.78, -0.08)  0.043
H (-1.41, -1.62, 0.27)  -0.001
H (0.19, -2.10, -0.35)  0.028
H (-1.08, -1.45, -1.48)  0.086

Repeat the second record exactly.
Entry from the OMol25 dataset: a 2-piece molecular cluster, C2H6FNO overall (ωB97M-V with the def2-TZVPD basis set).

Computed properties:
Largest force on an atom   0.074 Eh/bohr
Gap between HOMO and LUMO   11.44 eV
DFT total energy   -309.6397 hartree
Lowest unoccupied orbital energy   0.0248 Eh
SMILES   [H]/N=C(\C)F.O
Energy above the lowest of the compared OMol25 structures with the same formula, charge and spin   16.4 kcal/mol
E_HOMO   -10.76 eV
Net charge   0

Each line ends with the Löwdin charge.
CARTESIAN COORDINATES (ANGSTROEM)
H (0.71, 0.18, -1.37)  0.031
N (0.07, 0.91, -1.16)  0.148
C (-0.18, 1.12, 0.07)  -0.513
C (0.25, 0.30, 1.28)  -0.015
F (-0.91, 2.16, 0.43)  0.084
H (0.64, 1.05, 2.14)  0.130
H (-0.76, -0.10, 1.55)  0.097
H (1.04, -0.38, 1.09)  0.053
O (-0.35, -2.10, -1.17)  -0.098
H (-0.86, -1.26, -1.02)  0.032
H (0.35, -1.88, -1.85)  0.051

Repeat the third record exactly.
Entry from the OMol25 dataset: C2H6FNO2S2 as an isolated structure (ωB97M-V with the def2-TZVPD basis set).

Computed properties:
Largest force on an atom   0.102 Eh/bohr
Gap between HOMO and LUMO   9.31 eV
DFT total energy   -1181.0962 hartree
Lowest unoccupied orbital energy   0.0074 Eh